Excerpt =
~~~
(1)
First-principles (GGA-PBE) data for a geometry-optimized Sm4N3 structure, as listed in the Alexandria database.

* N(E_F): 2.92 states/eV per cell
* crystal system: cubic
* uncorrected energy: -52.38 eV for the cell shown
* total magnetic moment: 0.00 μB/cell
* calculated density: 8.21 g/cm³

Lattice parameters (Å, degrees): 5.067 5.067 5.067 90.00 90.00 90.00
Atoms (fractional coordinates):
Sm (0.000, 0.000, 0.000)
Sm (0.000, 0.500, 0.500)
Sm (0.500, 0.000, 0.500)
Sm (0.500, 0.500, 0.000)
N (0.000, 0.500, 0.000)
N (0.000, 0.000, 0.500)
N (0.500, 0.000, 0.000)

(2)
First-principles (GGA-PBE) data for a geometry-optimized NaLaZnAg structure, as listed in the Alexandria database.

* E_form: -0.1275 eV/atom
* N(E_F): 2.94 states/eV per cell
* crystal system: cubic
* uncorrected energy: -10.88 eV for the cell shown
* total magnetic moment: 0.00 μB/cell
* calculated density: 5.60 g/cm³

Lattice parameters (Å, degrees): 5.200 5.200 5.200 60.00 60.00 60.00
Atoms (fractional coordinates):
Na (0.500, 0.500, 0.500)
Zn (0.750, 0.750, 0.750)
Ag (0.250, 0.250, 0.250)
La (0.000, 0.000, 0.000)

(3)
First-principles (GGA-PBE) data for a geometry-optimized K2AlCd structure, as listed in the Alexandria database.

* E_form: 0.2761 eV/atom
* N(E_F): 3.51 states/eV per cell
* crystal system: orthorhombic
* energy relative to the lowest polymorph listed for this composition: 193 meV per atom
* uncorrected energy: -5.75 eV for the cell shown
* total magnetic moment: 0.00 μB/cell
* calculated density: 2.54 g/cm³

Lattice parameters (Å, degrees): 3.646 3.646 10.686 90.00 90.00 90.94
Atoms (fractional coordinates):
K (0.000, 0.000, 0.007)
K (0.000, 0.000, 0.493)
Al (0.500, 0.500, 0.250)
Cd (0.500, 0.500, 0.750)

(4)
First-principles (GGA-PBE) data for a geometry-optimized CeMnTl2Se4 structure, as listed in the Alexandria database.

* N(E_F): 7.10 states/eV per cell
* crystal system: orthorhombic
* uncorrected energy: -80.90 eV for the cell shown
* total magnetic moment: 10.04 μB/cell
* calculated density: 6.85 g/cm³

Lattice parameters (Å, degrees): 8.577 8.575 8.722 120.56 120.56 89.96
Atoms (fractional coordinates):
Ce (0.000, 0.500, 0.000)
Ce (0.000, 0.500, 0.500)
Mn (0.500, 0.500, 0.500)
Mn (0.000, 0.000, 0.000)
Tl (0.500, 0.000, 0.000)
Tl (0.500, 0.000, 0.500)
Tl (0.000, 0.000, 0.500)
Tl (0.500, 0.500, 0.000)
Se (0.206, 0.744, 0.975)
Se (0.756, 0.294, 0.525)
Se (0.244, 0.706, 0.475)
Se (0.794, 0.256, 0.025)
Se (0.762, 0.738, 0.955)
Se (0.761, 0.738, 0.545)
Se (0.238, 0.262, 0.455)
Se (0.238, 0.262, 0.045)

(5)
First-principles (GGA-PBE) data for a geometry-optimized Ag2AuS2 structure, as listed in the Alexandria database.

* N(E_F): 1.09 states/eV per cell
* crystal system: tetragonal
* energy relative to the lowest polymorph listed for this composition: 0 meV per atom
* uncorrected energy: -17.33 eV for the cell shown
* total magnetic moment: 0.00 μB/cell
* calculated density: 7.36 g/cm³

Lattice parameters (Å, degrees): 3.664 3.664 8.427 102.55 102.55 90.00
Atoms (fractional coordinates):
Ag (0.648, 0.648, 0.295)
Ag (0.352, 0.352, 0.705)
Au (0.000, 0.000, 0.000)
S (0.855, 0.855, 0.709)
S (0.145, 0.145, 0.291)

(6)
First-principles (GGA-PBE) data for a geometry-optimized AcBeNbN3 structure, as listed in the Alexandria database.

* N(E_F): 5.43 states/eV per cell
* crystal system: monoclinic
* uncorrected energy: -98.20 eV for the cell shown
* total magnetic moment: 0.00 μB/cell
* calculated density: 7.85 g/cm³

Lattice parameters (Å, degrees): 3.272 7.090 7.117 107.99 90.00 90.00
Atoms (fractional coordinates):
Ac (0.250, 0.202, 0.234)
Ac (0.750, 0.798, 0.766)
Be (0.250, 0.079, 0.606)
Be (0.750, 0.921, 0.394)
Nb (0.250, 0.664, 0.157)
Nb (0.750, 0.336, 0.843)
N (0.750, 0.877, 0.143)
N (0.250, 0.123, 0.857)
N (0.250, 0.834, 0.462)
N (0.750, 0.166, 0.538)
N (0.750, 0.457, 0.160)
N (0.250, 0.543, 0.840)

(7)
First-principles (GGA-PBE) data for a geometry-optimized Ti3ZnCr structure, as listed in the Alexandria database.

* E_form: 1.2533 eV/atom
~~~

Work order =
Your job: type out everything earlier on exactly.

Result =
(1)
First-principles (GGA-PBE) data for a geometry-optimized Sm4N3 structure, as listed in the Alexandria database.

* N(E_F): 2.92 states/eV per cell
* crystal system: cubic
* uncorrected energy: -52.38 eV for the cell shown
* total magnetic moment: 0.00 μB/cell
* calculated density: 8.21 g/cm³

Lattice parameters (Å, degrees): 5.067 5.067 5.067 90.00 90.00 90.00
Atoms (fractional coordinates):
Sm (0.000, 0.000, 0.000)
Sm (0.000, 0.500, 0.500)
Sm (0.500, 0.000, 0.500)
Sm (0.500, 0.500, 0.000)
N (0.000, 0.500, 0.000)
N (0.000, 0.000, 0.500)
N (0.500, 0.000, 0.000)

(2)
First-principles (GGA-PBE) data for a geometry-optimized NaLaZnAg structure, as listed in the Alexandria database.

* E_form: -0.1275 eV/atom
* N(E_F): 2.94 states/eV per cell
* crystal system: cubic
* uncorrected energy: -10.88 eV for the cell shown
* total magnetic moment: 0.00 μB/cell
* calculated density: 5.60 g/cm³

Lattice parameters (Å, degrees): 5.200 5.200 5.200 60.00 60.00 60.00
Atoms (fractional coordinates):
Na (0.500, 0.500, 0.500)
Zn (0.750, 0.750, 0.750)
Ag (0.250, 0.250, 0.250)
La (0.000, 0.000, 0.000)

(3)
First-principles (GGA-PBE) data for a geometry-optimized K2AlCd structure, as listed in the Alexandria database.

* E_form: 0.2761 eV/atom
* N(E_F): 3.51 states/eV per cell
* crystal system: orthorhombic
* energy relative to the lowest polymorph listed for this composition: 193 meV per atom
* uncorrected energy: -5.75 eV for the cell shown
* total magnetic moment: 0.00 μB/cell
* calculated density: 2.54 g/cm³

Lattice parameters (Å, degrees): 3.646 3.646 10.686 90.00 90.00 90.94
Atoms (fractional coordinates):
K (0.000, 0.000, 0.007)
K (0.000, 0.000, 0.493)
Al (0.500, 0.500, 0.250)
Cd (0.500, 0.500, 0.750)

(4)
First-principles (GGA-PBE) data for a geometry-optimized CeMnTl2Se4 structure, as listed in the Alexandria database.

* N(E_F): 7.10 states/eV per cell
* crystal system: orthorhombic
* uncorrected energy: -80.90 eV for the cell shown
* total magnetic moment: 10.04 μB/cell
* calculated density: 6.85 g/cm³

Lattice parameters (Å, degrees): 8.577 8.575 8.722 120.56 120.56 89.96
Atoms (fractional coordinates):
Ce (0.000, 0.500, 0.000)
Ce (0.000, 0.500, 0.500)
Mn (0.500, 0.500, 0.500)
Mn (0.000, 0.000, 0.000)
Tl (0.500, 0.000, 0.000)
Tl (0.500, 0.000, 0.500)
Tl (0.000, 0.000, 0.500)
Tl (0.500, 0.500, 0.000)
Se (0.206, 0.744, 0.975)
Se (0.756, 0.294, 0.525)
Se (0.244, 0.706, 0.475)
Se (0.794, 0.256, 0.025)
Se (0.762, 0.738, 0.955)
Se (0.761, 0.738, 0.545)
Se (0.238, 0.262, 0.455)
Se (0.238, 0.262, 0.045)

(5)
First-principles (GGA-PBE) data for a geometry-optimized Ag2AuS2 structure, as listed in the Alexandria database.

* N(E_F): 1.09 states/eV per cell
* crystal system: tetragonal
* energy relative to the lowest polymorph listed for this composition: 0 meV per atom
* uncorrected energy: -17.33 eV for the cell shown
* total magnetic moment: 0.00 μB/cell
* calculated density: 7.36 g/cm³

Lattice parameters (Å, degrees): 3.664 3.664 8.427 102.55 102.55 90.00
Atoms (fractional coordinates):
Ag (0.648, 0.648, 0.295)
Ag (0.352, 0.352, 0.705)
Au (0.000, 0.000, 0.000)
S (0.855, 0.855, 0.709)
S (0.145, 0.145, 0.291)

(6)
First-principles (GGA-PBE) data for a geometry-optimized AcBeNbN3 structure, as listed in the Alexandria database.

* N(E_F): 5.43 states/eV per cell
* crystal system: monoclinic
* uncorrected energy: -98.20 eV for the cell shown
* total magnetic moment: 0.00 μB/cell
* calculated density: 7.85 g/cm³

Lattice parameters (Å, degrees): 3.272 7.090 7.117 107.99 90.00 90.00
Atoms (fractional coordinates):
Ac (0.250, 0.202, 0.234)
Ac (0.750, 0.798, 0.766)
Be (0.250, 0.079, 0.606)
Be (0.750, 0.921, 0.394)
Nb (0.250, 0.664, 0.157)
Nb (0.750, 0.336, 0.843)
N (0.750, 0.877, 0.143)
N (0.250, 0.123, 0.857)
N (0.250, 0.834, 0.462)
N (0.750, 0.166, 0.538)
N (0.750, 0.457, 0.160)
N (0.250, 0.543, 0.840)

(7)
First-principles (GGA-PBE) data for a geometry-optimized Ti3ZnCr structure, as listed in the Alexandria database.

* E_form: 1.2533 eV/atom